**Entries**
********
{
  "formula": "GeH4NCl3",
  "functional": "GGA-PBE",
  "state": "optimized geometry",
  "dos_at_fermi_per_ev_cell": 0.0,
  "volume_a3_per_fu": 178,
  "e_tot_ev_per_atom": -4.2551,
  "cell": [[4.988, -0.085, 0.050], [-2.482, 6.562, -0.152], [-0.083, 0.205, 10.968]],
  "species": ["H", "H", "H", "H", "H", "H", "H", "H", "Cl", "Cl", "Cl", "Cl", "Cl", "Cl", "Ge", "Ge", "N", "N"],
  "frac_coords": [[0.529, 0.368, 0.468], [0.470, 0.632, 0.968], [0.712, 0.541, 0.574], [0.150, 0.441, 0.931], [0.843, 0.362, 0.519], [0.157, 0.637, 0.021], [0.849, 0.559, 0.430], [0.288, 0.459, 0.075], [0.181, 0.763, 0.300], [0.553, 0.719, 0.708], [0.448, 0.281, 0.207], [0.931, 0.862, 0.981], [0.069, 0.138, 0.481], [0.818, 0.237, 0.801], [0.005, 0.027, 0.268], [0.996, 0.973, 0.769], [0.734, 0.459, 0.498], [0.266, 0.541, 0.999]]
}



{
  "formula": "GeH4NCl3",
  "functional": "GGA-PBE",
  "state": "optimized geometry",
  "dos_at_fermi_per_ev_cell": 0.0,
  "volume_a3_per_fu": 172,
  "e_tot_ev_per_atom": -4.2522,
  "cell": [[7.850, -0.062, 0.137], [-0.106, 7.792, 0.206], [-7.220, 0.029, 11.145]],
  "species": ["Cl", "Cl", "Cl", "Cl", "Cl", "Cl", "Cl", "Cl", "Cl", "Cl", "Cl", "Cl", "N", "N", "N", "N", "H", "H", "H", "H", "H", "H", "H", "H", "H", "H", "H", "H", "H", "H", "H", "H", "Ge", "Ge", "Ge", "Ge"],
  "frac_coords": [[0.656, 0.675, 0.413], [0.330, 0.802, 0.812], [0.768, 0.551, 0.171], [0.680, 0.277, 0.612], [0.831, 0.918, 0.814], [0.770, 0.312, 0.898], [0.286, 0.794, 0.534], [0.915, 0.160, 0.334], [0.326, 0.024, 0.271], [0.484, 0.179, 0.050], [0.228, 0.621, 0.134], [0.200, 0.415, 0.648], [0.256, 0.457, 0.381], [0.860, 0.931, 0.075], [0.137, 0.444, 0.869], [0.936, 0.983, 0.575], [0.843, 0.880, 0.529], [0.758, 0.021, 0.067], [0.120, 0.430, 0.786], [0.173, 0.571, 0.892], [0.064, 0.937, 0.651], [0.006, 0.967, 0.140], [0.852, 0.924, 0.994], [0.254, 0.366, 0.931], [0.007, 0.410, 0.867], [0.248, 0.497, 0.303], [0.859, 0.067, 0.596], [0.827, 0.813, 0.097], [0.139, 0.372, 0.362], [0.392, 0.398, 0.438], [0.975, 0.046, 0.520], [0.246, 0.565, 0.422], [0.499, 0.822, 0.226], [0.576, 0.134, 0.734], [0.454, 0.637, 0.715], [0.619, 0.334, 0.229]]
}



{
  "formula": "GeP2HCl",
  "functional": "GGA-PBE",
  "state": "optimized geometry",
  "dos_at_fermi_per_ev_cell": 3.0,
  "volume_a3_per_fu": 80,
  "de_polymorph_mev_per_atom": 0,
  "e_tot_ev_per_atom": -3.5846,
  "cell": [[-0.281, -3.047, -2.155], [0.835, -2.158, 2.942], [-5.568, -0.398, 1.288]],
  "species": ["H", "Cl", "P", "P", "Ge"],
  "frac_coords": [[0.000, 0.000, 0.000], [0.000, 0.000, 0.500], [0.000, 0.500, 0.000], [0.500, 0.000, 0.000], [0.500, 0.500, 0.500]]
}



{
  "formula": "GeP2HCl",
  "functional": "GGA-PBE",
********
**Work order**
Your job: work out how many lines above have the word "optimized" in them; a number is enough.
**Outcome**
3